# Data
********
Entry 1:
C3H6N | wB97M-V/def2-TZVPD

```
10
Properties=species:S:1:pos:R:3:forces:R:3:lowdin_charge:R:1
N -0.5813 0.2104 -0.1175 6.932 -2.082 1.874 0.174
C 1.9614 -0.0094 -0.0410 3.893 0.214 0.404 0.006
C 0.6029 0.0609 0.0219 -8.967 1.478 -2.455 0.021
C -1.9687 -0.0506 0.0168 -0.154 0.750 2.473 0.007
H -2.3721 0.8645 0.4236 -0.343 0.067 0.758 0.115
H -2.2925 0.0132 -0.9309 -1.585 -0.508 -3.527 0.065
H -2.3211 -0.9601 0.5564 0.973 0.662 -0.356 0.145
H 2.5049 0.9489 -0.4527 -1.249 -1.816 0.805 0.182
H 2.1310 -0.1190 1.0515 1.014 0.151 -0.295 0.135
H 2.3355 -0.9588 -0.5280 -0.513 1.084 0.320 0.151
```
Forces are in eV/Å.

frontier orbital gap	12.44	eV
charge	+1
LUMO	-4.8	eV
energy above the lowest of the compared OMol25 structures with the same formula, charge and spin	15.40	kcal per mole
structure (SMILES)	CC#[N+]C

***

Entry 2:
C29H50BrN3O12S5 | wB97M-V/def2-TZVPD

```
100
Properties=species:S:1:pos:R:3:forces:R:3:lowdin_charge:R:1
Br -2.3668 -5.3235 0.1452 0.182 0.291 0.149 0.687
S 0.2131 3.8169 1.7122 0.241 0.540 0.377 0.683
S 2.1757 3.5596 6.8568 -0.246 -0.082 0.300 0.675
S -2.6026 -7.5069 -6.3846 -0.191 0.056 0.260 0.661
S -2.9987 -0.7454 -6.1469 -0.037 0.093 -0.550 0.668
S 5.7504 3.3911 2.6676 -0.072 -0.405 0.209 0.669
O -3.6727 -7.3540 -7.3384 0.172 -0.057 -0.212 -0.331
O 0.8441 -3.7936 -2.6039 -1.934 0.829 -0.017 0.167
O -3.4394 -2.7530 -1.6725 -0.013 -0.210 0.062 -0.107
O 1.1303 3.6833 5.8705 0.115 -0.174 0.257 -0.325
O 4.8789 4.1951 3.4875 0.258 0.204 -0.136 -0.325
O 0.2402 2.4215 2.0871 -0.015 0.112 -0.063 -0.324
O -3.7015 -1.9802 -5.9106 0.013 -0.026 0.198 -0.327
O -1.2665 -7.8564 -6.8006 -0.049 -0.002 -0.185 -0.327
O 3.5383 3.2865 6.4789 -0.027 -0.023 -0.207 -0.313
O -0.7843 4.3366 0.8055 -0.100 -0.376 -0.080 -0.328
O -2.5019 0.0672 -5.0649 -0.042 -0.140 0.155 -0.317
O 6.5298 3.9604 1.5978 -0.089 0.220 0.037 -0.313
N -1.5317 -4.0305 -2.4117 0.693 2.009 0.417 0.144
N -2.5536 -2.6739 0.9621 -0.074 0.601 -0.597 -0.011
N -3.6481 -0.6197 0.8612 0.613 0.491 -0.026 0.165
C 2.0775 3.0154 9.4200 0.057 0.101 -0.028 -0.220
C 5.7610 0.8115 2.1906 0.109 0.027 0.038 -0.216
C -2.9746 -6.4967 -3.9439 -0.047 -0.116 0.094 -0.219
C 4.8243 2.0028 2.0202 -0.068 -0.330 -0.089 -0.235
C -2.9736 0.8436 -8.2312 0.114 -0.041 0.035 -0.220
C -2.3417 1.3656 0.4713 1.080 1.413 -0.426 -0.073
C -1.6602 -1.0375 -7.3082 0.223 0.006 -0.352 -0.215
C 1.6781 2.3701 8.0968 -0.020 -0.122 0.339 -0.227
C 1.6715 4.4903 9.3052 -0.039 -0.066 0.009 -0.212
C -2.0626 -0.3316 -8.6091 -0.080 0.023 -0.022 -0.212
C 1.7168 5.0004 3.4995 0.149 0.058 -0.560 -0.235
C -3.4849 0.6868 0.7123 -2.416 0.749 0.284 -0.148
C -2.1116 -2.9720 -1.4740 -0.010 0.012 0.168 -0.441
C 2.3782 5.3065 2.1503 -0.081 0.300 -0.023 -0.205
C 2.1522 4.9935 7.9382 -0.065 0.238 0.333 -0.214
C -3.9801 0.2843 -7.2302 -0.036 0.279 -0.256 -0.227
C -1.8200 -3.4098 -0.0288 -0.662 -0.515 0.508 -0.622
C -1.2664 -0.6571 0.5811 1.496 0.230 -0.291 -0.029
C 6.8356 2.4269 3.7239 0.172 -0.333 0.225 -0.214
C -2.5182 -6.0508 -5.3373 -0.065 0.263 0.327 -0.219
C -3.6638 -2.0350 -2.8776 -0.189 0.156 -0.075 -0.064
C -2.4909 -1.2262 0.7827 -0.520 -2.678 0.528 -0.349
C -0.3369 -3.7649 -2.5200 2.001 -2.419 -0.518 -0.308
C 1.8478 4.2848 1.1384 0.339 0.244 -0.075 -0.205
C -1.1439 0.6970 0.3881 -0.621 -0.494 -0.111 -0.051
C 6.3846 0.9678 3.5832 -0.079 -0.029 -0.011 -0.210
C -3.1149 -8.6425 -5.0997 0.034 -0.158 0.349 -0.234
C 0.2352 4.8033 3.1996 0.110 0.192 0.286 -0.223
C -2.6386 -7.9866 -3.8068 0.028 0.101 -0.076 -0.218
H 3.4628 5.2647 2.2204 -0.151 0.023 -0.012 0.082
H 2.4616 3.3863 1.1153 -0.115 -0.075 0.030 0.079
H 2.1372 4.0916 3.9126 0.062 -0.046 0.004 0.081
H 5.6358 0.7396 4.3444 -0.010 0.032 -0.011 0.117
H -1.5379 -2.1089 -7.4471 -0.029 -0.019 0.168 0.103
H -0.2533 5.7514 2.9728 -0.039 -0.045 -0.090 0.110
H 0.5846 4.5742 9.3672 0.006 -0.013 -0.015 0.117
H 7.8553 2.5686 3.3706 -0.046 0.098 -0.082 0.105
H -4.2021 -8.7091 -5.1319 0.002 0.029 -0.071 0.106
H 3.9270 1.8895 2.6306 0.008 0.066 0.018 0.111
********
# What to do
Find "15.40" and "-0.2533 5.7514" in the notes earlier on, and transcribe these two lines and those between, please.
# Response
energy above the lowest of the compared OMol25 structures with the same formula, charge and spin	15.40	kcal per mole
structure (SMILES)	CC#[N+]C

***

Entry 2:
C29H50BrN3O12S5 | wB97M-V/def2-TZVPD

```
100
Properties=species:S:1:pos:R:3:forces:R:3:lowdin_charge:R:1
Br -2.3668 -5.3235 0.1452 0.182 0.291 0.149 0.687
S 0.2131 3.8169 1.7122 0.241 0.540 0.377 0.683
S 2.1757 3.5596 6.8568 -0.246 -0.082 0.300 0.675
S -2.6026 -7.5069 -6.3846 -0.191 0.056 0.260 0.661
S -2.9987 -0.7454 -6.1469 -0.037 0.093 -0.550 0.668
S 5.7504 3.3911 2.6676 -0.072 -0.405 0.209 0.669
O -3.6727 -7.3540 -7.3384 0.172 -0.057 -0.212 -0.331
O 0.8441 -3.7936 -2.6039 -1.934 0.829 -0.017 0.167
O -3.4394 -2.7530 -1.6725 -0.013 -0.210 0.062 -0.107
O 1.1303 3.6833 5.8705 0.115 -0.174 0.257 -0.325
O 4.8789 4.1951 3.4875 0.258 0.204 -0.136 -0.325
O 0.2402 2.4215 2.0871 -0.015 0.112 -0.063 -0.324
O -3.7015 -1.9802 -5.9106 0.013 -0.026 0.198 -0.327
O -1.2665 -7.8564 -6.8006 -0.049 -0.002 -0.185 -0.327
O 3.5383 3.2865 6.4789 -0.027 -0.023 -0.207 -0.313
O -0.7843 4.3366 0.8055 -0.100 -0.376 -0.080 -0.328
O -2.5019 0.0672 -5.0649 -0.042 -0.140 0.155 -0.317
O 6.5298 3.9604 1.5978 -0.089 0.220 0.037 -0.313
N -1.5317 -4.0305 -2.4117 0.693 2.009 0.417 0.144
N -2.5536 -2.6739 0.9621 -0.074 0.601 -0.597 -0.011
N -3.6481 -0.6197 0.8612 0.613 0.491 -0.026 0.165
C 2.0775 3.0154 9.4200 0.057 0.101 -0.028 -0.220
C 5.7610 0.8115 2.1906 0.109 0.027 0.038 -0.216
C -2.9746 -6.4967 -3.9439 -0.047 -0.116 0.094 -0.219
C 4.8243 2.0028 2.0202 -0.068 -0.330 -0.089 -0.235
C -2.9736 0.8436 -8.2312 0.114 -0.041 0.035 -0.220
C -2.3417 1.3656 0.4713 1.080 1.413 -0.426 -0.073
C -1.6602 -1.0375 -7.3082 0.223 0.006 -0.352 -0.215
C 1.6781 2.3701 8.0968 -0.020 -0.122 0.339 -0.227
C 1.6715 4.4903 9.3052 -0.039 -0.066 0.009 -0.212
C -2.0626 -0.3316 -8.6091 -0.080 0.023 -0.022 -0.212
C 1.7168 5.0004 3.4995 0.149 0.058 -0.560 -0.235
C -3.4849 0.6868 0.7123 -2.416 0.749 0.284 -0.148
C -2.1116 -2.9720 -1.4740 -0.010 0.012 0.168 -0.441
C 2.3782 5.3065 2.1503 -0.081 0.300 -0.023 -0.205
C 2.1522 4.9935 7.9382 -0.065 0.238 0.333 -0.214
C -3.9801 0.2843 -7.2302 -0.036 0.279 -0.256 -0.227
C -1.8200 -3.4098 -0.0288 -0.662 -0.515 0.508 -0.622
C -1.2664 -0.6571 0.5811 1.496 0.230 -0.291 -0.029
C 6.8356 2.4269 3.7239 0.172 -0.333 0.225 -0.214
C -2.5182 -6.0508 -5.3373 -0.065 0.263 0.327 -0.219
C -3.6638 -2.0350 -2.8776 -0.189 0.156 -0.075 -0.064
C -2.4909 -1.2262 0.7827 -0.520 -2.678 0.528 -0.349
C -0.3369 -3.7649 -2.5200 2.001 -2.419 -0.518 -0.308
C 1.8478 4.2848 1.1384 0.339 0.244 -0.075 -0.205
C -1.1439 0.6970 0.3881 -0.621 -0.494 -0.111 -0.051
C 6.3846 0.9678 3.5832 -0.079 -0.029 -0.011 -0.210
C -3.1149 -8.6425 -5.0997 0.034 -0.158 0.349 -0.234
C 0.2352 4.8033 3.1996 0.110 0.192 0.286 -0.223
C -2.6386 -7.9866 -3.8068 0.028 0.101 -0.076 -0.218
H 3.4628 5.2647 2.2204 -0.151 0.023 -0.012 0.082
H 2.4616 3.3863 1.1153 -0.115 -0.075 0.030 0.079
H 2.1372 4.0916 3.9126 0.062 -0.046 0.004 0.081
H 5.6358 0.7396 4.3444 -0.010 0.032 -0.011 0.117
H -1.5379 -2.1089 -7.4471 -0.029 -0.019 0.168 0.103
H -0.2533 5.7514 2.9728 -0.039 -0.045 -0.090 0.110